‘Red October’

by Shelt Garner

Oh my God, I learned the reason the White House was bathed in red light was it’s Breast Cancer awareness month. Jesus Christ is the MAGA New Right a bunch of paranoid idiots.

Well, that certainly is one way to wake on up October 1st.

I have to give the fucking cocksucker MAGA New Right credit, they make the foolish online “Resistance” of the Trump Era look like good. Just because the White House lights looked red in the middle of the night, they literally think it’s the End of The World.

Misplaced materials data
Tb3Al: theoretical powder diffraction line list (Cu Kα, 1.54184 Å), based on DFT lattice parameters and positions (GGA-PBE).
Kinematic intensities with the Lorentz-polarization factor, no thermal factor.

Atomic structure:
abc: 4.7753 4.7753 4.7753
angles: 90.00 90.00 90.00
Fractional positions:
1 Tb 0.0000 0.0000 0.5000
2 Tb 0.0000 0.5000 0.0000
3 Tb 0.5000 0.0000 0.0000
4 Al 0.5000 0.5000 0.5000

Peak list (10 most intense, 10 to 80 degrees two-theta, by angle)
18.6 deg, I = 197
26.4 deg, I = 172
32.5 deg, I = 1000
37.7 deg, I = 502
42.3 deg, I = 100
46.6 deg, I = 76
The entry goes on

But apparently human potato head Dan Scavino got into the action as well when he tweeted this picture out:

Given that the mid-terms are a year away and it would be Red NOVEMBER we would be talking about, I’m at a loss as to what this all means. But, apparently, it means something because the MAGA New Right is freaking the fuck out. They’re going nuts over the idea of a “Red October.”

Hopefully, this is just more nutty MAGA New Right froth and we can all just roll over and go back to bed. Idiots.

Steve K. Bannon’s Podcast Whackpack Needs Me

by Shelt Garner

At the moment, the only way I can tolerate listening to fucking human tumor Steve K. Bannon’s podcast is if I drink a huge amount of rye. And, yet, I find something about it interesting. And there’s something missing: me.

He and I are in some ways so similar that I think it would be amusing to have us play off each other. Having someone who, like, uh, disagrees with him, is the element that’s missing to his hate-filled, rage-filled podcast. He and Peter Navarro get way too overheated with their self-generated bullshit that it would be quite entertaining to have me in the mix.

People would download the podcast specifically to hear me get “owned.”

I think what I see with his podcast is has a lot of potential from a surreal, over-the-top entertainment level, more than any kind of serious podcast. It pretty much like listening to Howard Beale rant on a podcast.

Adding me to the mix would be very interesting and entertaining. I know I like to rant a lot on this blog, but I can also be quite measured in my conversations when need be.

Is Stephen Colbert Funny?

by Shelt Garner

Short Answer: Yes. Very

Long Answer: It depends. I find Colbert consistently funny night after night. And, yet, you continue to hear within fucking cocksucker MAGA New Right circles that he’s not funny. He’s a part of “the system” and he’s just another portion of the liberal propaganda machine.

Depends on who you ask.

I struggle to sort such thinking out because I really like what Colbert has done with his show since Trump took office. But, I think what I’m having difficulty understanding is there are people within the MAGA New Right personality death cult who actually like fucking cocksucker Donald Trump and get very upset if you pick on him.

It just boggles my mind.

The crux of the issue, I think is two fold. One, generally to be funny is to be center-Left. By definition. It’s extremely difficult to be funny and conservative because telling a joke is meant to be a somewhat Leftist act unto itself. Second, fascists are not know for having the greatest senses of humor. I don’t think I’ve ever heard Trump laugh once in his public life.

Also, I think Colbert has established himself as the most newsy of the late night talk shows and so he’s willing to play it straight — not be funny on purpose — to convey some not-so-great news to his audience. As such, the cry babies of the MAGA New Right watch Colbert and get upset.

I just don’t take myself that seriously in general. And it’s self-evident that Trump is an humorless piece of shit. So, you have to forego humor if you support him.

If Glenn Youngkin Is Governor Of Virginia in 2025, He Might Get Overthrown In A Coup

by Shelt Garner

I can’t predict the future. I have no idea what is going to happen. I’m wrong so often that it’s comical. But, lulz, I have psychological need to make my abstract fears concrete so let’s talk about Glenn Youngkin.

I’m of the opinion that despite sage admonishments by Larry Sabato to the contrary, given that Virginia is a functioning democracy — unlike North Carolina — that it’s inevitable that some MAGA New Right cocksucker is going to become governor.

That’s the kind of bullshit you have to worry about when one of your two major political parties is fascist.

So, it’s reasonable to believe that what would otherwise be pretty mundane — a Republican governor in Virginia in 2025 — could have some pretty huge fucking consequences.

Namely, a Governor Youngkin would be a prime candidate for an actual fucking coup if the country collapsed. I say this Virginia is actually two different states. You have the autocratic Trumplandia rural parts and everything else. It’s easy to imagine Youngkin throwing his lot with a MAGA presidential candidate and doing everything in his power to throw the state to the Red side, even to the point of outright nullification.

This would not sit well with the otherwise placid, moderates of Virginia.

[Data records from another source follow]
+++
Entry 1:
For BaSr2NpS6, a cell relaxed with PBE gives the simulated powder diffraction line list in this record (CuKα).
Neutral-atom scattering factors, no anomalous dispersion.

Principal peaks in the range 10° ≤ 2θ ≤ 90°, most intense first:
| 2θ/deg | I/Imax |
| --- | --- |
| 23.82 | 100 |
| 24.46 | 96 |
| 16.84 | 53 |
| 34.06 | 49 |
| 44.07 | 43 |
| 22.77 | 42 |
| 25.00 | 38 |
| 14.22 | 36 |

Atomic structure:
Unit cell a=7.129 b=7.812 c=12.344 alpha=90.00 beta=123.22 gamma=90.00
Positions (direct):
Ba1 0.000 0.000 0.000
Ba2 0.000 0.500 0.500
Sr1 0.206 0.070 0.730
Sr2 0.206 0.430 0.230
Sr3 0.794 0.570 0.770
Sr4 0.794 0.930 0.270
Np1 0.500 0.000 0.500
Np2 0.500 0.500 0.000
S1 0.161 0.166 0.454
S2 0.161 0.334 0.954
S3 0.247 0.731 0.403
S4 0.247 0.769 0.903
S5 0.418 0.083 0.278
S6 0.418 0.417 0.778
S7 0.582 0.583 0.222
S8 0.582 0.917 0.722
S9 0.753 0.231 0.097
S10 0.753 0.269 0.597
S11 0.839 0.666 0.046
S12 0.839 0.834 0.546

***

Entry 2:
For BaNp3Tl2S8, a cell relaxed with PBE gives the simulated powder diffraction line list in this record (CuKα).
Neutral-atom scattering factors, no anomalous dispersion.

Principal peaks in the range 10° ≤ 2θ ≤ 90°, most intense first:
| 2θ/deg | I/Imax |
| --- | --- |
| 24.75 | 100 |
| 40.76 | 55 |
| 44.29 | 51 |
| 23.28 | 50 |
| 25.45 | 49 |
| 29.74 | 44 |
| 26.36 | 37 |
| 37.62 | 34 |

Atomic structure:
Unit cell a=8.915 b=8.915 c=8.915 alpha=54.62 beta=54.62 gamma=54.62
Positions (direct):
Ba1 0.000 0.000 0.000
Np1 0.371 0.371 0.868
Np2 0.371 0.868 0.371
Np3 0.868 0.371 0.371
Tl1 0.372 0.372 0.372
Tl2 0.745 0.745 0.745
S1 0.118 0.118 0.566
S2 0.118 0.566 0.118
S3 0.140 0.140 0.140
S4 0.171 0.626 0.626
S5 0.566 0.118 0.118
S6 0.598 0.598 0.598
S7 0.626 0.171 0.626
S8 0.626 0.626 0.171

***

Entry 3:
For Ba2Np3Se8, a cell relaxed with PBE gives the simulated powder diffraction line list in this record (CuKα).
Neutral-atom scattering factors, no anomalous dispersion.

Principal peaks in the range 10° ≤ 2θ ≤ 90°, most intense first:
| 2θ/deg | I/Imax |
| --- | --- |
| 12.06 | 100 |
| 31.66 | 85 |
| 25.53 | 55 |
| 43.01 | 50 |
| 37.80 | 48 |
| 32.16 | 42 |
| 19.05 | 40 |
| 21.33 | 31 |

Atomic structure:
Unit cell a=8.837 b=8.837 c=7.259 alpha=106.46 beta=106.46 gamma=57.59
Positions (direct):
Ba1 0.230 0.230 0.167
Ba2 0.770 0.770 0.833
Np1 0.245 0.755 0.500
Np2 0.500 0.500 0.000
Np3 0.755 0.245 0.500
Se1 0.113 0.113 0.468
Se2 0.167 0.620 0.105
Se3 0.380 0.833 0.895
Se4 0.398 0.398 0.597
Se5 0.602 0.602 0.403
Se6 0.620 0.167 0.105
Se7 0.833 0.380 0.895
Se8 0.887 0.887 0.532

***

Entry 4:
For Ba2NpSe4, a cell relaxed with PBE gives the simulated powder diffraction line list in this record (CuKα).
Neutral-atom scattering factors, no anomalous dispersion.

Principal peaks in the range 10° ≤ 2θ ≤ 90°, most intense first:
| 2θ/deg | I/Imax |
| --- | --- |
| 23.57 | 100 |
| 32.76 | 79 |
| 12.89 | 73 |
| 30.44 | 71 |
| 23.35 | 69 |
| 41.71 | 58 |
| 29.69 | 54 |
| 39.91 | 39 |

Atomic structure:
+++

If the shit really hit the fan, Virginia is probably doomed. It’s going to implode and either Youngkin flees to somewhere like, I dunno, Danville, or he’s overthrown altogether.

It might not be very pretty.

But, I can’t predict the future. All my dystopian nightmare scenarios may be, in the end, just that.